Given >
/*
Entry one
Below is C32H43HgN6O10SSi as an isolated structure, with properties calculated with the ωB97M-V functional and the def2-TZVPD basis.

Results
E_HOMO (spin up / spin down) = 0.484 / -1.762 eV
Multiplicity = 2
Net charge = -2
HOMO-LUMO gap (spin up / spin down) = 3.72 / 5.97 eV

CARTESIAN COORDINATES (ANGSTROEM)
Hg  1.574  -0.623  0.884
S  2.153  -2.853  1.892
Si  -1.704  -0.403  -1.547
O  2.963  1.250  -0.287
O  -3.211  -0.132  -0.891
O  5.806  0.880  -0.174
O  -1.702  0.847  -2.641
O  2.662  3.255  0.368
O  0.550  -2.184  -3.176
O  0.971  -3.228  -1.227
O  -0.516  -0.618  -0.574
O  -1.909  -1.827  -2.487
O  4.931  -0.802  0.996
N  0.378  1.422  1.700
N  1.696  -0.260  3.246
N  3.222  -1.396  -1.187
N  2.595  -1.038  3.884
N  3.904  -2.915  3.908
N  3.367  2.455  -0.209
C  -0.714  3.017  -2.955
C  1.758  1.525  8.046
C  1.316  -2.531  -2.137
C  3.247  -1.780  -3.545
C  2.677  -1.901  -2.281
C  4.386  -1.004  -3.673
C  4.985  -0.207  -0.037
C  1.787  2.319  5.772
C  2.903  -2.148  3.301
C  1.228  0.031  6.230
C  -3.449  -1.249  -4.293
C  1.194  0.811  3.857
C  -1.037  1.413  -4.854
C  1.393  1.062  5.295
C  0.430  1.703  3.033
C  -0.914  3.386  1.286
C  -2.446  -3.527  -4.047
C  4.349  -0.688  -1.305
C  -5.128  -0.153  0.489
C  4.931  -0.427  -2.541
C  -0.691  1.531  -3.363
C  -3.609  -0.341  0.458
C  0.700  0.942  -3.145
C  -2.949  0.692  1.372
C  -0.943  3.656  2.660
C  -0.296  2.815  3.532
C  -2.979  -2.307  -3.292
C  -4.157  -2.746  -2.419
C  -0.265  2.234  0.880
C  1.958  2.548  7.128
C  -3.228  -1.744  0.949
C  1.401  0.263  7.584
H  -3.384  -1.824  2.025
H  -1.707  3.265  -2.579
H  0.727  -0.091  -3.505
H  -5.613  -0.873  -0.174
H  -3.155  1.702  1.017
H  -1.056  0.359  -5.133
H  -4.977  -3.117  -3.039
H  4.833  -0.848  -4.647
H  5.811  0.198  -2.599
H  -2.048  -4.257  -3.339
H  -0.285  1.923  -5.460
H  -3.816  -2.513  0.445
H  -1.869  0.537  1.367
H  -4.497  -1.895  -1.835
H  -0.356  2.985  4.597
H  4.345  -3.538  3.249
H  1.252  -0.545  8.292
H  1.976  3.111  5.059
H  1.449  1.527  -3.684
H  -3.833  -3.536  -1.740
H  -1.641  -3.235  -4.725
H  -4.353  -1.588  -4.804
H  1.891  1.707  9.107
H  4.559  -2.335  4.414
H  -0.489  3.662  -3.808
H  2.255  3.533  7.473
H  -3.651  -0.313  -3.772
H  0.958  0.933  -2.088
H  2.780  -2.247  -4.399
H  -1.397  4.032  0.564
H  -5.510  -0.289  1.503
H  5.252  1.619  -0.499
H  -3.248  -3.991  -4.626
H  -2.172  -1.914  0.727
H  0.946  -0.951  5.876
H  0.013  3.224  -2.171
H  -3.318  0.586  2.395
H  -2.019  1.848  -5.057
H  -2.671  -1.068  -5.036
H  -0.289  1.923  -0.156
H  -0.399  -2.099  -2.879
H  -1.485  4.517  3.038
H  -5.378  0.852  0.144

These are the Löwdin partial charges, in e, on atoms 1 to 6: Hg 1.009; S 0.500; Si 0.045; O -0.237; O -0.114; O 0.043



Entry two
Below is C32H43HgN6O10SSi as an isolated structure, with properties calculated with the ωB97M-V functional and the def2-TZVPD basis.

Results
E_HOMO (spin up / spin down) = -0.473 / -2.015 eV
Multiplicity = 2
Net charge = -2
HOMO-LUMO gap (spin up / spin down) = 4.89 / 6.43 eV

CARTESIAN COORDINATES (ANGSTROEM)
Hg  -0.721  0.590  -0.958
S  -2.879  2.549  -2.760
Si  1.782  -0.251  1.826
O  3.136  -1.067  1.305
O  2.349  0.980  2.817
O  -4.525  -0.857  1.471
O  -0.804  5.085  0.401
O  0.773  0.681  -2.627
O  -0.124  3.208  -0.509
O  0.719  0.231  0.793
O  2.458  1.314  -3.678
O  -2.728  -0.938  0.128
O  1.315  -1.473  2.861
N  -2.046  -0.420  -2.739
N  -2.206  1.788  0.649
N  -5.133  1.159  -2.719
N  1.709  1.539  -2.743
N  -3.279  -0.092  -3.083
N  -0.178  -1.893  -1.452
C  -3.431  -0.255  0.870
C  2.046  2.363  2.748
C  3.800  0.111  -0.720
C  0.015  -3.075  4.008
C  2.876  3.040  3.845
C  -3.035  -1.476  -6.829
C  -3.927  3.073  2.434
C  0.763  -2.578  -0.820
C  -2.529  -0.998  -5.632
C  -1.964  -1.865  -4.692
C  5.153  0.271  1.389
C  0.404  -0.812  4.989
C  -0.916  3.746  0.204
C  1.676  -3.383  -2.863
C  0.704  -2.662  -3.529
C  1.678  -3.387  -1.476
C  -4.137  1.766  2.133
C  -2.041  3.071  0.925
*/

Wanted >
Search the block further up for the word "as" and retype each line that has it.

Response >
Below is C32H43HgN6O10SSi as an isolated structure, with properties calculated with the ωB97M-V functional and the def2-TZVPD basis.
Below is C32H43HgN6O10SSi as an isolated structure, with properties calculated with the ωB97M-V functional and the def2-TZVPD basis.